# What to do
Your job: print all of the listing further below with every line break kept.

# Material
- - -
No. 1
Entry from Materials Project: a geometry-optimized LaCu5Sn structure (GGA-PBE).

Structure (CIF):
```
data_LaCu5Sn
_chemical_formula_sum 'La4 Cu20 Sn4'
_space_group_name_H-M_alt 'P 1'
_space_group_IT_number 1
_cell_length_a 5.0928
_cell_length_b 8.3917
_cell_length_c 10.6818
_cell_angle_alpha 90.00
_cell_angle_beta 90.00
_cell_angle_gamma 90.00
loop_
_space_group_symop_operation_xyz
'x,y,z'
loop_
_atom_site_label
_atom_site_type_symbol
_atom_site_fract_x
_atom_site_fract_y
_atom_site_fract_z
Cu1 Cu 0.4987 0.0655 0.6874
Cu2 Cu 0.2500 0.9143 0.5166
Cu3 Cu 0.0013 0.5655 0.8126
Cu4 Cu 0.5013 0.4345 0.1874
Cu5 Cu 0.2500 0.8161 0.7459
Cu6 Cu 0.0013 0.0655 0.6874
Cu7 Cu 0.7500 0.9400 0.1065
Cu8 Cu 0.5013 0.9345 0.3126
Cu9 Cu 0.7500 0.1839 0.2541
Cu10 Cu 0.4987 0.5655 0.8126
Cu11 Cu 0.7500 0.0857 0.4834
Cu12 Cu 0.2500 0.5600 0.6065
Cu13 Cu 0.7500 0.6839 0.2459
Cu14 Cu 0.7500 0.5857 0.0166
Cu15 Cu 0.2500 0.3161 0.7541
Cu16 Cu 0.2500 0.4143 0.9834
Cu17 Cu 0.2500 0.0600 0.8935
Cu18 Cu 0.7500 0.4400 0.3935
Cu19 Cu 0.9987 0.4345 0.1874
Cu20 Cu 0.9987 0.9345 0.3126
Sn1 Sn 0.7500 0.3579 0.6381
Sn2 Sn 0.2500 0.6421 0.3619
Sn3 Sn 0.2500 0.1421 0.1381
Sn4 Sn 0.7500 0.8579 0.8619
La1 La 0.2500 0.2568 0.4383
La2 La 0.2500 0.7568 0.0617
La3 La 0.7500 0.2432 0.9383
La4 La 0.7500 0.7432 0.5617
```


No. 2
Entry from Materials Project: a geometry-optimized LaCuSn structure (GGA-PBE).

Output
Magnetic moment   0.1 μB/f.u.

Structure (CIF):
```
data_LaCuSn
_chemical_formula_sum 'La1 Cu1 Sn1'
_space_group_name_H-M_alt 'P 1'
_space_group_IT_number 1
_cell_length_a 4.4955
_cell_length_b 4.4946
_cell_length_c 4.3710
_cell_angle_alpha 90.00
_cell_angle_beta 90.00
_cell_angle_gamma 120.04
loop_
_space_group_symop_operation_xyz
'x,y,z'
loop_
_atom_site_label
_atom_site_type_symbol
_atom_site_fract_x
_atom_site_fract_y
_atom_site_fract_z
La1 La 0.0000 0.0000 0.0000
Sn1 Sn 0.6666 0.3334 0.5000
Cu1 Cu 0.3333 0.6666 0.5000
```


No. 3
Entry from Materials Project: a geometry-optimized LaCuSn structure (GGA-PBE).

Structure (CIF):
```
data_LaCuSn
_chemical_formula_sum 'La2 Cu2 Sn2'
_space_group_name_H-M_alt 'P 1'
_space_group_IT_number 1
_cell_length_a 4.6109
_cell_length_b 4.6109
_cell_length_c 8.2282
_cell_angle_alpha 90.00
_cell_angle_beta 90.00
_cell_angle_gamma 120.00
loop_
_space_group_symop_operation_xyz
'x,y,z'
loop_
_atom_site_label
_atom_site_type_symbol
_atom_site_fract_x
_atom_site_fract_y
_atom_site_fract_z
La1 La 0.0000 0.0000 0.0000
La2 La 0.0000 0.0000 0.5000
Sn1 Sn 0.3333 0.6667 0.7500
Sn2 Sn 0.6667 0.3333 0.2500
Cu1 Cu 0.3333 0.6667 0.2500
Cu2 Cu 0.6667 0.3333 0.7500
```


No. 4
Entry from Materials Project: a geometry-optimized La2CuTe4 structure (GGA-PBE).

Output
Magnetic moment   0.0 μB/f.u.

Structure (CIF):
```
data_La2CuTe4
_chemical_formula_sum 'La4 Cu2 Te8'
_space_group_name_H-M_alt 'P 1'
_space_group_IT_number 1
_cell_length_a 8.5526
_cell_length_b 6.5390
_cell_length_c 7.7472
_cell_angle_alpha 89.77
_cell_angle_beta 90.00
_cell_angle_gamma 90.00
loop_
_space_group_symop_operation_xyz
'x,y,z'
loop_
_atom_site_label
_atom_site_type_symbol
_atom_site_fract_x
_atom_site_fract_y
_atom_site_fract_z
Te1 Te 0.5936 0.0196 0.6159
Te2 Te 0.9105 0.4902 0.6161
Te3 Te 0.2489 0.2472 0.9238
Te4 Te 0.7489 0.7528 0.0762
Te5 Te 0.4105 0.5098 0.3839
Te6 Te 0.0936 0.9804 0.3841
Te7 Te 0.7486 0.2513 0.0862
Te8 Te 0.2486 0.7487 0.9138
La1 La 0.9410 0.0047 0.7630
La2 La 0.5563 0.5008 0.7724
La3 La 0.4410 0.9953 0.2370
La4 La 0.0563 0.4992 0.2276
Cu1 Cu 0.2031 0.6830 0.5864
Cu2 Cu 0.7031 0.3170 0.4136
```


| no. | formation energy (eV/atom) | E_tot (eV/atom) |
| --- | --- | --- |
| 1 | -0.2575 | -4.4634 |
| 2 | -0.5523 | -4.9005 |
| 3 | -0.5955 | -4.9438 |
| 4 | -1.4035 | -4.9544 |

=====

# 1
First-principles (PBE with a Hubbard U) data for a relaxed structure of Li4V3Ni2Sn3O16, as listed in the Materials Project.

## Properties
- - -

# Here it is
No. 1
Entry from Materials Project: a geometry-optimized LaCu5Sn structure (GGA-PBE).

Structure (CIF):
```
data_LaCu5Sn
_chemical_formula_sum 'La4 Cu20 Sn4'
_space_group_name_H-M_alt 'P 1'
_space_group_IT_number 1
_cell_length_a 5.0928
_cell_length_b 8.3917
_cell_length_c 10.6818
_cell_angle_alpha 90.00
_cell_angle_beta 90.00
_cell_angle_gamma 90.00
loop_
_space_group_symop_operation_xyz
'x,y,z'
loop_
_atom_site_label
_atom_site_type_symbol
_atom_site_fract_x
_atom_site_fract_y
_atom_site_fract_z
Cu1 Cu 0.4987 0.0655 0.6874
Cu2 Cu 0.2500 0.9143 0.5166
Cu3 Cu 0.0013 0.5655 0.8126
Cu4 Cu 0.5013 0.4345 0.1874
Cu5 Cu 0.2500 0.8161 0.7459
Cu6 Cu 0.0013 0.0655 0.6874
Cu7 Cu 0.7500 0.9400 0.1065
Cu8 Cu 0.5013 0.9345 0.3126
Cu9 Cu 0.7500 0.1839 0.2541
Cu10 Cu 0.4987 0.5655 0.8126
Cu11 Cu 0.7500 0.0857 0.4834
Cu12 Cu 0.2500 0.5600 0.6065
Cu13 Cu 0.7500 0.6839 0.2459
Cu14 Cu 0.7500 0.5857 0.0166
Cu15 Cu 0.2500 0.3161 0.7541
Cu16 Cu 0.2500 0.4143 0.9834
Cu17 Cu 0.2500 0.0600 0.8935
Cu18 Cu 0.7500 0.4400 0.3935
Cu19 Cu 0.9987 0.4345 0.1874
Cu20 Cu 0.9987 0.9345 0.3126
Sn1 Sn 0.7500 0.3579 0.6381
Sn2 Sn 0.2500 0.6421 0.3619
Sn3 Sn 0.2500 0.1421 0.1381
Sn4 Sn 0.7500 0.8579 0.8619
La1 La 0.2500 0.2568 0.4383
La2 La 0.2500 0.7568 0.0617
La3 La 0.7500 0.2432 0.9383
La4 La 0.7500 0.7432 0.5617
```


No. 2
Entry from Materials Project: a geometry-optimized LaCuSn structure (GGA-PBE).

Output
Magnetic moment   0.1 μB/f.u.

Structure (CIF):
```
data_LaCuSn
_chemical_formula_sum 'La1 Cu1 Sn1'
_space_group_name_H-M_alt 'P 1'
_space_group_IT_number 1
_cell_length_a 4.4955
_cell_length_b 4.4946
_cell_length_c 4.3710
_cell_angle_alpha 90.00
_cell_angle_beta 90.00
_cell_angle_gamma 120.04
loop_
_space_group_symop_operation_xyz
'x,y,z'
loop_
_atom_site_label
_atom_site_type_symbol
_atom_site_fract_x
_atom_site_fract_y
_atom_site_fract_z
La1 La 0.0000 0.0000 0.0000
Sn1 Sn 0.6666 0.3334 0.5000
Cu1 Cu 0.3333 0.6666 0.5000
```


No. 3
Entry from Materials Project: a geometry-optimized LaCuSn structure (GGA-PBE).

Structure (CIF):
```
data_LaCuSn
_chemical_formula_sum 'La2 Cu2 Sn2'
_space_group_name_H-M_alt 'P 1'
_space_group_IT_number 1
_cell_length_a 4.6109
_cell_length_b 4.6109
_cell_length_c 8.2282
_cell_angle_alpha 90.00
_cell_angle_beta 90.00
_cell_angle_gamma 120.00
loop_
_space_group_symop_operation_xyz
'x,y,z'
loop_
_atom_site_label
_atom_site_type_symbol
_atom_site_fract_x
_atom_site_fract_y
_atom_site_fract_z
La1 La 0.0000 0.0000 0.0000
La2 La 0.0000 0.0000 0.5000
Sn1 Sn 0.3333 0.6667 0.7500
Sn2 Sn 0.6667 0.3333 0.2500
Cu1 Cu 0.3333 0.6667 0.2500
Cu2 Cu 0.6667 0.3333 0.7500
```


No. 4
Entry from Materials Project: a geometry-optimized La2CuTe4 structure (GGA-PBE).

Output
Magnetic moment   0.0 μB/f.u.

Structure (CIF):
```
data_La2CuTe4
_chemical_formula_sum 'La4 Cu2 Te8'
_space_group_name_H-M_alt 'P 1'
_space_group_IT_number 1
_cell_length_a 8.5526
_cell_length_b 6.5390
_cell_length_c 7.7472
_cell_angle_alpha 89.77
_cell_angle_beta 90.00
_cell_angle_gamma 90.00
loop_
_space_group_symop_operation_xyz
'x,y,z'
loop_
_atom_site_label
_atom_site_type_symbol
_atom_site_fract_x
_atom_site_fract_y
_atom_site_fract_z
Te1 Te 0.5936 0.0196 0.6159
Te2 Te 0.9105 0.4902 0.6161
Te3 Te 0.2489 0.2472 0.9238
Te4 Te 0.7489 0.7528 0.0762
Te5 Te 0.4105 0.5098 0.3839
Te6 Te 0.0936 0.9804 0.3841
Te7 Te 0.7486 0.2513 0.0862
Te8 Te 0.2486 0.7487 0.9138
La1 La 0.9410 0.0047 0.7630
La2 La 0.5563 0.5008 0.7724
La3 La 0.4410 0.9953 0.2370
La4 La 0.0563 0.4992 0.2276
Cu1 Cu 0.2031 0.6830 0.5864
Cu2 Cu 0.7031 0.3170 0.4136
```


| no. | formation energy (eV/atom) | E_tot (eV/atom) |
| --- | --- | --- |
| 1 | -0.2575 | -4.4634 |
| 2 | -0.5523 | -4.9005 |
| 3 | -0.5955 | -4.9438 |
| 4 | -1.4035 | -4.9544 |

=====

# 1
First-principles (PBE with a Hubbard U) data for a relaxed structure of Li4V3Ni2Sn3O16, as listed in the Materials Project.

## Properties